It comes after Senator Joe Manchin (D-WV) said he would not support her nomination, reducing the chance of her being confirmed to the position by the narrowly-divided Senate.

In a statement reported by Politico Playbook, Collins said: “The Director of OMB is responsible for overseeing the development and implementation of the federal budget and plays a significant role in any Administration’s fiscal and regulatory agenda.

“Congress has to be able to trust the OMB director to make countless decisions in an impartial manner, carrying out the letter of the law and congressional intent.

“Neera Tanden has neither the experience nor the temperament to lead this critical agency. Her past actions have demonstrated exactly the kind of animosity that President Biden has pledged to transcend.”

Her statement concluded: “The OMB needs steady, experienced, responsive leadership. I will vote against confirming Ms. Tanden.”

- - -
w:
23
Properties=species:S:1:pos:R:3:nbo_charge:R:1 method="wB97M-V/def2-TZVPD" smiles="N=C(N)N.CC(C)C" lumo_ev=0.80 multiplicity=1 homo_lumo_gap_ev=9.85 homo_energy_ev=-9.044
N -2.02595 0.64636 2.54865 -0.777
C -2.51799 0.66978 1.37721 0.576
N -2.12060 1.47770 0.33479 -0.853
N -3.58023 -0.16734 1.04613 -0.833
H -1.24711 1.28090 2.66687 0.333
H -1.43095 2.17139 0.57214 0.395
H -2.70337 1.58976 -0.47130 0.395
H -3.53204 -0.57142 0.12435 0.373
H -3.72045 -0.87491 1.75018 0.396
C 3.03441 -0.65492 -1.01369 -0.601
C 1.69581 -0.00783 -0.65262 -0.217
C 0.67376 -0.26601 -1.76851 -0.604
C 1.16266 -0.56739 0.64987 -0.607
H 3.80708 -0.33078 -0.32777 0.207
H 2.94919 -1.74154 -0.93573 0.198
H 3.35228 -0.42049 -2.02844 0.204
H 1.86455 1.06687 -0.58983 0.186
H -0.31250 0.12688 -1.54714 0.208
H 0.60115 -1.34486 -1.92364 0.197
H 1.03746 0.14212 -2.71088 0.204
H 1.77633 -0.40392 1.53708 0.209
H 0.16474 -0.17141 0.83068 0.213
H 1.07176 -1.64894 0.53160 0.199



x:
23
Properties=species:S:1:pos:R:3:nbo_charge:R:1 method="wB97M-V/def2-TZVPD" lumo_ev=1.04 multiplicity=1 homo_lumo_gap_ev=8.15 homo_energy_ev=-7.107
C 0.41171 -0.34566 -0.27926 0.388
C -0.47638 0.58326 0.40471 -0.418
C -1.21077 -0.49199 1.66246 -0.231
C 1.73025 -0.66833 0.38302 -0.659
C -0.29807 1.54418 -2.37059 -0.427
N 0.77231 0.99707 -1.56975 -0.780
N -0.13373 -1.37664 -1.02413 -0.827
N -0.34837 -0.71583 2.79148 -0.866
H 1.33445 1.76833 -1.20938 0.333
H 0.55092 -1.86861 -1.58375 0.381
H -0.91444 -1.08684 -1.59874 0.375
H -0.09778 -1.70001 2.86812 0.362
H -0.79026 -0.40560 3.65063 0.367
H 0.03372 1.32472 1.01173 0.228
H -1.36413 0.91713 -0.12757 0.211
H -2.10461 0.07813 1.93522 0.175
H -1.56986 -1.44063 1.26210 0.186
H 2.27382 -1.47520 -0.11895 0.212
H 2.37879 0.21234 0.35662 0.233
H 1.63873 -0.94573 1.43333 0.245
H -0.82058 0.74366 -2.91127 0.169
H -1.06362 2.12463 -1.81612 0.140
H 0.06790 2.22760 -3.14991 0.203



y:
23
Properties=species:S:1:pos:R:3:nbo_charge:R:1 method="wB97M-V/def2-TZVPD" smiles=CC[C@H](CN)NCN lumo_ev=1.06 multiplicity=1 homo_lumo_gap_ev=9.46 homo_energy_ev=-8.394
C -0.85636 -2.51409 0.56090 -0.612
C -0.35974 -1.26956 1.16092 -0.425
C 0.15832 -0.13192 0.28562 -0.032
C 1.63243 0.44236 0.72819 -0.229
N 2.56094 0.14507 -0.39996 -0.867
N -0.77510 0.97135 0.17488 -0.663
C -0.71110 1.62196 -1.09880 -0.076
N -1.98486 1.85148 -1.89530 -0.856
H -1.72343 -2.81712 1.13837 0.214
H -0.24415 -3.28581 0.84119 0.209
H -1.00450 -2.31687 -0.53962 0.210
H -1.13725 -0.85757 1.79999 0.205
H 0.31725 -1.43260 2.01489 0.197
H 0.28915 -0.63384 -0.75376 0.202
H 1.98789 0.01230 1.69449 0.167
H 1.64770 1.53796 0.91267 0.190
H 3.39794 0.77462 -0.34389 0.356
H 3.00002 -0.80775 -0.49283 0.364
H -0.80378 1.53680 0.99158 0.371
H -0.13707 1.14074 -1.93575 0.205
H -0.29985 2.69410 -1.15451 0.168
H -2.66975 2.32650 -1.37109 0.350
H -2.28470 1.01187 -2.31816 0.350



Which of them is the least stable? Correct choice: x.



w:
22
- - -
**The text goes on**

Republicans have spoken in opposition to Tanden over tweets she previously sent taking aim at lawmakers. Tanden has previously said she regrets and takes responsibility for some of her previous comments. She has apologized for her language contributing to polarization in politics and said she can “work with anyone.”

Prior to her nomination, it was suggested her previous statements could hurt any chances of confirmation.

{"formula": "C19H15F6IN3O3SeV", "method": "ωB97M-V with the def2-TZVPD basis set", "elements": ["V", "C", "C", "N", "C", "C", "C", "O", "C", "C", "N", "C", "C", "C", "C", "C", "C", "I", "C", "O", "H", "H", "H", "H", "H", "H", "H", "H", "H", "H", "H", "H", "Se", "C", "N", "C", "C", "O", "C", "F", "F", "F", "C", "F", "F", "F", "H", "H", "H"], "xyz": [[-0.913, -1.178, -0.798], [2.737, -3.477, -0.180], [2.603, -2.251, 0.653], [3.638, -1.805, 1.322], [3.582, -0.725, 2.072], [2.450, 0.088, 2.168], [2.516, 1.264, 3.106], [1.566, 2.263, 2.823], [1.322, -0.305, 1.419], [0.064, 0.378, 1.459], [-1.060, 0.016, 0.905], [-2.218, 0.688, 1.350], [-2.294, 1.122, 2.683], [-3.354, 1.882, 3.131], [-4.381, 2.228, 2.266], [-4.380, 1.735, 0.971], [-3.321, 0.956, 0.537], [-3.405, 0.152, -1.431], [1.387, -1.522, 0.682], [0.320, -1.882, 0.046], [3.482, -4.131, 0.266], [3.097, -3.216, -1.177], [1.785, -3.997, -0.277], [4.487, -0.481, 2.611], [3.537, 1.660, 3.088], [2.348, 0.866, 4.122], [1.832, 3.089, 3.244], [0.068, 1.276, 2.077], [-1.518, 0.833, 3.377], [-3.379, 2.202, 4.161], [-5.192, 2.858, 2.600], [-5.202, 1.942, 0.302], [-3.532, -4.755, -1.910], [-2.563, -3.502, -1.368], [-1.894, -2.576, -0.966], [1.601, -0.202, -3.651], [0.312, 0.325, -3.019], [-0.231, -0.533, -2.092], [0.592, 1.605, -2.182], [1.564, 1.308, -1.296], [-0.486, 1.897, -1.413], [0.927, 2.659, -2.876], [-0.790, 0.536, -4.115], [-0.293, 0.712, -5.319], [-1.556, -0.576, -4.127], [-1.582, 1.565, -3.825], [2.374, -0.312, -2.893], [1.947, 0.493, -4.414], [1.406, -1.170, -4.112]], "spin_multiplicity": 1, "de_lowest_ev": 0.741, "charge": 2, "homo_ev": -14.937, "homo_lumo_gap_ev": 5.793, "e_lumo_ev": -9.14, "total_energy_ha": -5364.75399}



{"formula": "C8H12Cl2OTi", "method": "ωB97M-V with the def2-TZVPD basis set", "elements": ["Ti", "Cl", "Cl", "C", "H", "H", "C", "C", "H", "C", "H", "C", "H", "H", "C", "H", "H", "C", "H", "H", "H", "H", "O", "C"], "xyz": [[1.859, -0.325, 0.967], [0.808, -2.236, 1.390], [1.602, 0.969, 2.755], [3.694, -0.740, 1.132], [4.432, -0.126, 1.696], [4.172, -1.550, 0.556], [-0.643, 1.228, 0.332], [0.480, 0.811, -0.241], [-0.587, 1.988, 1.125], [0.489, -0.296, -1.292], [1.409, 1.465, -0.212], [-0.788, -0.240, -2.182], [1.383, -0.255, -1.927], [0.496, -1.301, -0.809], [-2.042, -0.175, -1.322], [-0.743, 0.658, -2.816], [-0.823, -1.124, -2.837], [-1.991, 0.883, -0.184], [-2.911, 0.050, -1.960], [-2.213, -1.159, -0.862], [-2.485, 1.808, -0.533], [-2.622, 0.519, 0.640], [-1.619, -0.518, 3.841], [-1.354, -0.336, 2.742]], "spin_multiplicity": 2, "de_lowest_ev": 1.479, "charge": -1, "homo_ev": [-2.131, -2.562], "homo_lumo_gap_ev": [5.195, 5.619], "s_squared": 0.7793, "e_lumo_ev": [3.06, 3.06], "total_energy_ha": -2157.12785}

The Democrats hold a majority in the Senate but this is razor-thin, with the upper chamber split 50-50. Democrats have a majority thanks to Vice President Kamala Harris, who holds the decisive vote in any tiebreak situations.

**Unrelated to this entry: quantum chemistry results**
____________
The following is a quantum chemistry calculation of an isolated molecule of C8H14BFN2O6, from OMol25.

Output
* HOMO energy: -9.38 eV
* SMILES string: CN(C)C(=O)CN(CC(=O)F)C(=O)OCB(O)O
* LUMO level: 0.46 eV
* F_max: 0.8 eV Å⁻¹
* E_tot: -998.983666 a.u.

ORCA input file:
```
! wB97M-V def2-TZVPD RIJCOSX def2/J DEFGRID3
* xyz 0 1
C 2.72421 -1.17181 1.43637
N 2.42465 -0.98286 0.00011
C 2.63437 -2.22616 -0.77007
C 1.03362 -0.63310 -0.17644
O 0.12342 -1.22853 0.34336
C 0.78826 0.51498 -1.14700
N -0.03822 1.60756 -0.66257
C 0.63979 2.68399 0.03653
C 1.38757 2.31782 1.30090
O 0.97916 2.27861 2.40444
F 2.67742 2.02576 1.03682
C -1.29647 1.24770 -0.10520
O -1.54199 1.18507 1.07262
O -2.15331 0.96859 -1.08600
C -3.50021 0.68095 -0.65343
B -3.68255 -0.84202 -0.23069
O -3.27294 -1.81618 -1.12153
O -4.23897 -1.16237 0.98063
H 2.94630 -2.21199 1.66173
H 1.91473 -0.81929 2.06600
H 3.61046 -0.59540 1.69316
H 3.68139 -2.33329 -1.03271
H 2.26940 -3.09728 -0.22587
H 2.06659 -2.18037 -1.69863
H 1.74142 0.91783 -1.47268
H 0.31727 0.07242 -2.02685
H -0.09430 3.43000 0.32539
H 1.32285 3.15590 -0.66503
H -3.83901 1.37381 0.10798
H -4.10753 0.84308 -1.54452
H -2.50381 -2.27404 -0.75870
H -5.01357 -1.72938 0.91185
*
```



The following is a quantum chemistry calculation of a 2-piece molecular cluster, C8H14BO5S overall, from OMol25.

Output
* HOMO energy: -3.49 eV
* LUMO level: 2.29 eV
* F_max: 0.5 eV Å⁻¹
* E_tot: -1112.449772 a.u.

ORCA input file:
```
! wB97M-V def2-TZVPD RIJCOSX def2/J DEFGRID3
* xyz -1 1
C 0.36010 1.08575 -2.20761
C 1.51782 1.24596 -1.93251
C 2.91297 1.48630 -1.58755
B 2.97742 2.81468 -0.69129
C 2.92289 2.68556 0.87656
C 3.11470 4.19403 -1.42753
O 4.23872 4.43217 -1.94353
O 2.11097 4.94843 -1.36607
H -0.67831 0.99453 -2.40443
H 3.48673 1.64539 -2.50143
H 3.28396 0.60760 -1.05247
H 3.35565 3.55280 1.37647
H 1.88690 2.60113 1.21622
H 3.45230 1.78736 1.21150
O -0.76586 -1.19404 0.09249
S -1.50779 -1.58753 1.24612
O -0.98877 -2.59413 2.12318
O -2.98040 -1.99842 0.78886
C -3.08781 -2.95729 -0.28534
C -2.76554 -4.37260 0.14702
C -1.94820 -0.17024 2.18767
H -2.45302 -2.63330 -1.11153
H -4.12443 -2.87965 -0.60799
H -1.72106 -4.47340 0.43593
H -2.96237 -5.05650 -0.67950
H -3.37859 -4.66181 1.00093
H -2.36221 0.57980 1.52008
H -1.02836 0.19149 2.64216
H -2.66207 -0.46425 2.95225
*
```



The following is a quantum chemistry calculation of an isolated molecule of C8H14BrNO at a distorted geometry, from OMol25.

Output
* ΔE to the lowest compared entry with this formula, charge and spin: 366.2 kJ/mol
* HOMO energy (spin up / spin down): -7.67 / -8.05 eV
* LUMO level (spin up / spin down): -0.02 / -0.26 eV
* F_max: 3.8 eV Å⁻¹
* E_tot: -3017.031960 a.u.

ORCA input file:
```
! wB97M-V def2-TZVPD RIJCOSX def2/J DEFGRID3
* xyz 0 1
C 2.37997 1.71274 -2.37600
C 0.44887 -0.22313 1.50274
C -0.33019 0.83822 2.19807
C 0.72945 -1.17830 -0.81590
C 1.03667 -0.11114 -1.80462
C -0.27608 -0.71603 0.22368
C -0.39560 2.16499 1.53331
C -2.27983 -2.02653 -0.09826
____________

After Manchin’s announcement of opposing Tanden, Democrats need at least one Republican to go the other way to cancel this out. Collins was one of those potential Republican votes.

In a statement on his opposition, Manchin said: “I believe her overtly partisan statements will have a toxic and detrimental impact on the important working relationship between members of Congress and the next director of the Office of Management and Budget.

“For this reason, I cannot support her nomination.

“As I have said before, we must take meaningful steps to end the political division and dysfunction that pervades our politics. At a time of grave crisis, it is more important than ever that we chart a new bipartisan course that helps address the many serious challenges facing our nation.”

White House Press Secretary Jen Psaki previously described Tanden as “an accomplished policy expert who would be an excellent Budget Director,” and said work would continue to have her confirmed with “engagement with both parties.”

Biden was asked on Friday if he would pull Tanden’s nomination, and said he would not, The Associated Press reports.

He said: “I think we are going to find the votes and get her confirmed.”

A Senate vote on Tanden’s nomination is due to take place this week.

Newsweek has contacted Collins and the White House for comment.